Admissions September 2018 (updated Jan 12, 2018)
January 13th, 2018We are currently accepting applications for all our programs for September 2018. Most families are interested in placement for September 2018, but we already have a few applicants for September 2019.
Openings for September 2018. Of roughly 90 students currently enrolled at The Montessori House, about 50 have informed us they will return to the school next September (most of the other 40+ students have “aged-out” of our programs and will attend their local elementary school, parochial school, or an independent school). That means we’re placing about 40+ new students — 12 new students in our Montessori Stepping Stones program (age 2-1/2 to 3), most other new students in our Pre-Primary Montessori programs (age 3 to 4), and a handful of new Kindergarten students (age 5+).
New for 2018-19: we will offer a full-day option in Montessori Stepping Stones, from 8:45 a.m. to 2:50 p.m., as well as our usual half-day morning or afternoon Montessori Stepping Stones options.
As occurs every year, we have the greatest interest in our full-day programs (Montessori Stepping Stones, Pre-Primary Montessori+Enrichment, and Montessori Kindergarten) and our morning, half-day programs (Montessori Stepping Stones and Pre-Primary Montessori) — these sessions fill the fastest and will eventually have the longest waiting lists. In fact, the Montessori Stepping Stones morning session is filling rapidly, largely with the younger siblings from Montessori House families. The last sessions to fill are our afternoon, half-day programs (Montessori Stepping Stones and Pre-Primary Montessori).
Record 1
Entry from the OMol25 dataset: a molecular structure, C21H31O4Re (wB97M-V/def2-TZVPD).

```
57
Properties=species:S:1:pos:R:3
O -0.14 -0.27 -2.99
C 0.01 1.03 -3.65
C 0.06 0.49 -5.06
H 0.96 1.50 -3.38
H -0.85 1.66 -3.41
C 0.01 -0.87 -4.32
H 1.00 0.71 -5.58
H -0.83 0.73 -5.63
C 1.33 -1.61 -4.38
H 2.13 -0.96 -4.04
H 1.54 -1.91 -5.42
H 1.26 -2.51 -3.76
C -1.16 -1.71 -4.78
H -2.10 -1.15 -4.71
H -1.22 -2.63 -4.20
H -1.01 -1.97 -5.84
Re -0.64 -0.79 2.39
C -2.22 -1.23 3.78
C -1.98 0.18 3.85
C -2.29 0.74 2.57
H -1.69 0.73 4.73
C -2.69 -0.32 1.69
C -2.64 -1.55 2.43
H -2.96 -2.52 2.07
H -2.19 -1.90 4.63
H -2.25 1.80 2.33
H -3.00 -0.20 0.66
C 0.55 -2.00 3.79
C -0.19 -2.81 2.85
C 0.38 -2.57 1.53
H -0.93 -3.57 3.09
C 1.48 -1.67 1.70
C 1.57 -1.30 3.07
H 2.32 -0.66 3.53
H 0.43 -2.00 4.87
H 0.07 -3.07 0.61
H 2.18 -1.38 0.91
O 1.91 1.21 -1.51
C 0.94 0.50 -0.69
C -0.38 1.28 -0.72
H 1.35 0.59 0.34
H 0.89 -0.57 -0.94
C 0.10 2.73 -0.90
H -0.94 1.16 0.21
H -1.02 0.93 -1.53
C 1.62 2.61 -1.14
H -0.08 3.28 0.04
H -0.43 3.25 -1.71
H 2.10 2.80 -0.16
H 2.01 3.29 -1.91
C 1.11 1.76 4.20
C 1.06 1.84 2.71
O 1.73 2.68 2.09
O 0.29 0.98 2.06
H 2.10 1.36 4.47
H 0.32 1.12 4.59
H 1.02 2.78 4.58
```

Summary:
Charge   +1
Relative energy (zero: lowest compared OMol25 entry of this formula, charge and spin)   30.98 kcal/mol
Orbital gap (spin up / spin down)   7.0 / 4.9 eV
LUMO level (spin up / spin down)   -3.245 / -6.230 eV
Total energy   -32587.9736 eV
2S+1   4
HOMO level (spin up / spin down)   -10.3 / -11.2 eV

***

Record 2
Entry from the OMol25 dataset: a molecular structure, C21H32BBrInO23S (wB97M-V/def2-TZVPD).

```
80
Properties=species:S:1:pos:R:3
O 5.87 -6.14 -2.83
B 5.26 -4.76 -2.94
O 3.83 -4.53 -2.57
In 6.63 -3.08 -3.74
S 6.54 -1.03 -2.23
Br 9.10 -4.11 -3.81
H 6.88 -6.04 -2.68
H 3.76 -4.25 -1.61
H 6.07 -2.63 -5.43
H 6.68 -1.49 -0.89
C 1.44 -1.48 -2.21
C 1.18 -0.46 -1.15
O 2.10 -0.81 -0.13
C 3.11 -1.51 -0.73
O 4.15 -1.82 -0.18
O 2.80 -1.81 -2.03
H 1.27 -1.09 -3.22
H 0.83 -2.38 -2.07
H 1.41 0.56 -1.49
H 0.16 -0.49 -0.78
C -0.99 3.14 1.62
C 0.46 3.45 1.77
O 1.05 2.77 0.69
C 0.08 2.60 -0.26
O 0.29 2.20 -1.39
O -1.14 2.95 0.23
H -1.63 3.96 1.97
H -1.28 2.22 2.14
H 0.67 4.52 1.67
H 0.86 3.10 2.73
C -4.20 -0.78 3.59
C -2.78 -0.86 3.13
O -2.39 0.50 3.05
C -3.21 1.20 3.88
O -3.05 2.37 4.18
O -4.24 0.43 4.34
H -4.49 -1.63 4.22
H -4.91 -0.69 2.76
H -2.14 -1.36 3.86
H -2.68 -1.35 2.16
C -3.89 -5.59 5.45
C -5.35 -5.78 5.73
O -5.93 -4.59 5.23
C -5.07 -4.09 4.29
O -5.34 -3.17 3.54
O -3.88 -4.76 4.30
H -3.38 -6.54 5.25
H -3.37 -5.07 6.26
H -5.77 -6.63 5.20
H -5.55 -5.89 6.80
C 1.80 3.81 -5.17
C 2.85 2.92 -5.74
O 2.55 1.66 -5.18
C 1.23 1.68 -4.84
O 0.60 0.70 -4.48
O 0.71 2.93 -4.95
H 1.52 4.62 -5.85
H 2.10 4.25 -4.21
H 2.79 2.84 -6.83
H 3.86 3.24 -5.47
C -7.81 1.82 0.99
C -6.76 0.93 0.42
O -7.05 -0.33 0.98
C -8.38 -0.31 1.32
O -9.01 -1.29 1.68
O -8.90 0.94 1.21
H -8.09 2.63 0.31
H -7.51 2.26 1.95
H -6.82 0.85 -0.67
H -5.75 1.25 0.69
C 6.75 4.10 -0.86
C 6.14 2.76 -0.60
End of the data records.
To be considered for placement, families submit a paid application (download here). While we only offer families placement after a school visit and tour, families are welcome to apply either before they visit, at the visit, or after visiting.
We offer tours most school days. Tours are most informative when the classroom is filled with students and teachers. Consequently we only conduct tours when classes are in session. A personal, private tour usually take about 45 minutes, with a generous amount of time in one or two classrooms — depending on your child’s age, we will show you the program they would enter in September 2018, but also show you the programs available in future years. (Note, we can only spend time in the classroom on an “adults only” tour — a quiet infant carried by the parent is permitted, but no toddlers in the classroom please.) Note, you may submit an application before you tour.
We generally schedule tours to start between 9:15 and 10:15 in the morning, or around 1:00 in the afternoon. You may schedule a personal tour by texting/calling us at 201-816-8343. Or, we’ll contact you: e-mail us at with your phone number and your child’s birthdate, and we’ll reach out to schedule a visit. Alternatively, on our Admissions Page , you can request our free Schools Checklist (at the right under “How Does Our School Compare?”enter your name, zipcode and e-mail in the boxes) , and we’ll e-mail you information about booking a tour
Timing for Your 2018-19 Application: For families who are confident they want a placement offer for September 2018 from The Montessori House, we recommend submitting an application immediately. Some families delay: to finalize plans to move to the area, to look at other schools, or they mistakenly assume they have plenty of time. The cost of an application is small, and delay in submitting an application will reduce a family’s available options for next September.
Summary of our enrollment process: We have complete the enrollment process for returning students, and are now offering placement to new students September 2018, more or less in the order we received a paid application. After the end of January, we have rolling admissions and continue to offer placement in a session until that session is filled, at which point we start a session wait list. A family may choose to enroll in an alternate session (e.g. afternoon rather than morning, or half-day rather than full-day), but still join the waiting list for their preferred session.
We urge families interested in entering September 2018 to act now: schedule a school visit and submit an application .
For more information please contact us through our website or text/call us at 201-816-8343.